It remains to work out how many lines further below have the word "peaks" in them; a number is enough.

┌──
Theoretical powder diffractogram of FeNiSb6 for Cu Kα (λ = 1.5418 Å), from the PBE geometry in the Materials Project.

Atomic structure:
a = 7.8992 Å, b = 7.8992 Å, c = 9.1288 Å
α = 125.17°, β = 125.17°, γ = 70.61°
Fractional positions:
1 Fe 0.0000 0.5000 0.0000
2 Fe 0.5000 0.0000 0.0000
3 Ni 0.0000 0.5000 0.5000
4 Ni 0.5000 0.0000 0.5000
5 Sb 0.1548 0.8362 0.3301
6 Sb 0.1638 0.8452 0.6699
7 Sb 0.1757 0.5065 0.8448
8 Sb 0.3296 0.3296 0.1683
9 Sb 0.3384 0.3384 0.4958
10 Sb 0.4935 0.8243 0.1552
11 Sb 0.5065 0.1757 0.8448
12 Sb 0.6616 0.6616 0.5042
13 Sb 0.6704 0.6704 0.8317
14 Sb 0.8243 0.4935 0.1552
15 Sb 0.8362 0.1548 0.3301
16 Sb 0.8452 0.1638 0.6699

The 6 most intense peaks (2θ = 15–90°), low angle first:
- 30.97 deg, d 2.887, intensity 100
- 36.82 deg, d 2.441, intensity 32
- 44.36 deg, d 2.042, intensity 20
- 48.84 deg, d 1.865, intensity 11
- 50.98 deg, d 1.791, intensity 14
- 58.95 deg, d 1.567, intensity 12
└──

1